I love your blog and videos. Thank you for all of your hard work and dedication. I appreciate your ideas of practical preparedness rather than wasting our time with fantasy zombie preparedness like so many other survival bloggers do. Thank you for you recent video entitled “3 steps to perfect pocket knife”. I work in office where it would be inappropriate to wear a folding knife attached to your suit pants. So I appreciated your ideas about other viable options.
I was wondering what your thoughts are on what type of knife is a good first knife for a boy. I have a six year old son and have been wondering when is a good time to get my son a knife, and what type of knife that should be. My son enjoys hiking, exploring in the woods, building forts, and playing out-doors. He is the oldest of my 4 children and is responsible for his age. What do you think is a good boy’s age for a father to give a knife to his son? What type of knife would be best? I know that you have two young sons and I would appreciate any advice you might have on this matter. Do your boys have knives? If so, what kind? And when did you give it to them? How could you tell they were ready for a knife? What rules do you have with your boys? I appreciate any ideas you might be willing to share.
Thank you,
My son’s Swiss Army Knife Explorer and Hultafors HeavyDuty Knife. The pictured Leatherman Sidekick would also make a first great knife/MT for a boy.
Thanks Danny,
A knife is obviously an important tool and it sure is a big deal for a boy (probably a girl too, lets not leave the ladies out!). Your first knife, your first gun, its not just a gift, it’s a rite of passage. It’s a grownup, maybe your parent or grandparents, recognizing you’re responsible enough to handle such responsibility.
When I was a kid I loved the idea of having a knife. I managed to get hold of various tiny pocket knives but I got my very own proper fixed blade knife for my tenth birthday. It was one of those cheap hollow handle “survival” models, made in China. I still have that knife.
I gave my oldest son (eight at the time) and my nephew (nine) their first pocket knives during one summer holiday. This worked out well because I had more time to spend with both of them and teach them how to use their knives. The knife isn’t supposed to be just a normal gift. It should go along with proper instruction on how to use it and care for it. Even if a lot of the advice may fall on ears too young to understand, you should still explain everything as well as possible. Safe handling of the knife is of course important. In my case, I bought my son and my nephew a Victorinox Explorer. These aren’t cheap knives, but I loved the idea of both having that bond, the same knife model, given the same day, and the look on their faces was priceless! A Swiss Army Knife makes a great first knife to learn the basics. Given how famous they are there’s a good chance that a kid has already seen and wanted one for some time. It comes with a number of other tools as well and kids just love that.
If I had to do it again, I would go with this other model instead. It has the saw which I think is important and its an overall great model no matter how old you are:
Victorinox Swiss Army Huntsman II Knife $24.99
A couple years ago, I got my son his first fixed blade knife, a Hultafors Heavy Duty. This is a tough knife, made in Sweden. It’s twice the thickness of most Mora knives. The carbon steel blade rusts and stains easily but it’s a solid blade to learn the basics of handling a real knife and its strong enough to prepare wood to start a fire with it.
As for the age, it really depends. Eight to ten sounds about right depending on the level of maturity. I would try not to rush it. We sometimes have a hard time being impartial when it comes to our own kids and tend to overestimate how mature they are. Its better to take it easy and make sure they can handle the responsibility. Start by teaching them safe knife handling first. Once you give them the new knife, have them use it under your supervision at first until you notice they are using it safely as well.
Here are some of the rules I insist on:
1)Be careful with your knife at all times. Keep a firm grip and find a safe place to use your knife. Put it away if others are close to you, especially children.
2)Always cut away from any and all body parts. If your knife slips, what will it end up going against?
3) A knife is a tool, not a toy. Don’t pry, throw or use your knife for any other purpose than its intended use. If dropped, quickly step away. Don’t try to catch it.
4)Grab the sheath firmly when removing a knife from its sheath and keep your fingers out of the way when closing a folding knife.
• Misplaced materials data:
-- begin --
Record 1
Diffraction record for FeNi15Ge4. The powder diffractogram is theoretical, not measured: it uses a DFT-relaxed cell (GGA-PBE, Alexandria) and CuKα.
No peak broadening, texture or thermal motion is included.

Structural model:
```
data_FeNi15Ge4
_chemical_formula_sum 'Fe1 Ni15 Ge4'
_cell_length_a 3.574
_cell_length_b 3.574
_cell_length_c 17.819
_cell_angle_alpha 90.00
_cell_angle_beta 90.00
_cell_angle_gamma 90.00
_space_group_name_H-M_alt 'P 4/m m m'
_space_group_IT_number 123
_space_group_name_Hall '-P 4 2'
loop_
_atom_site_label
_atom_site_type_symbol
_atom_site_fract_x
_atom_site_fract_y
_atom_site_fract_z
Fe1 Fe 0.000 0.000 0.000
Ni1 Ni 0.000 0.500 0.098
Ni2 Ni 0.000 0.500 0.299
Ni3 Ni 0.000 0.500 0.500
Ni4 Ni 0.500 0.500 0.000
Ni5 Ni 0.500 0.500 0.199
Ni6 Ni 0.500 0.500 0.400
Ge1 Ge 0.000 0.000 0.198
Ge2 Ge 0.000 0.000 0.400
```

Largest 3 diffraction maxima, in order of rising 2θ, 2θ from 5° to 70°:
| 2θ/deg | d (Å) | I (rel.) | index |
| --- | --- | --- | --- |
| 43.92 | 2.062 | 100 | 1 1 5 |
| 51.11 | 1.787 | 31 | 2 0 0 |
| 51.27 | 1.782 | 15 | 0 0 10 |

=====

Record 2
Diffraction record for Ga2SiSn. The powder diffractogram is theoretical, not measured: it uses a DFT-relaxed cell (GGA-PBE, Alexandria) and CuKα.
No peak broadening, texture or thermal motion is included.

Structural model:
```
data_Ga2SiSn
_chemical_formula_sum 'Ga8 Si4 Sn4'
_cell_length_a 6.882
_cell_length_b 6.882
_cell_length_c 6.882
_cell_angle_alpha 90.00
_cell_angle_beta 90.00
_cell_angle_gamma 90.00
_space_group_name_H-M_alt 'F m -3 m'
_space_group_IT_number 225
_space_group_name_Hall '-F 4 2 3'
loop_
_atom_site_label
_atom_site_type_symbol
_atom_site_fract_x
_atom_site_fract_y
_atom_site_fract_z
Ga1 Ga 0.250 0.250 0.250
Si1 Si 0.000 0.000 0.000
Sn1 Sn 0.000 0.000 0.500
```

Largest 6 diffraction maxima, in order of rising 2θ, 2θ from 5° to 70°:
| 2θ/deg | d (Å) | I (rel.) | index |
| --- | --- | --- | --- |
| 22.38 | 3.973 | 22 | 1 1 1 |
| 36.94 | 2.433 | 100 | 2 2 0 |
| 43.62 | 2.075 | 13 | 3 1 1 |
| 53.24 | 1.721 | 17 | 4 0 0 |
| 58.46 | 1.579 | 6 | 3 3 1 |
| 66.57 | 1.405 | 35 | 4 2 2 |

=====

Record 3
Diffraction record for Sm8CoSi2. The powder diffractogram is theoretical, not measured: it uses a DFT-relaxed cell (GGA-PBE, Alexandria) and CuKα.
No peak broadening, texture or thermal motion is included.

Structural model:
```
data_Sm8CoSi2
_chemical_formula_sum 'Sm16 Co2 Si4'
_cell_length_a 18.612
_cell_length_b 4.629
_cell_length_c 7.070
_cell_angle_alpha 90.00
_cell_angle_beta 100.42
_cell_angle_gamma 90.00
_space_group_name_H-M_alt 'C 1 2/m 1'
_space_group_IT_number 12
loop_
_space_group_symop_operation_xyz
'x,y,z'
'-x,-y,-z'
'-x,y,-z'
'x,-y,z'
'x+1/2,y+1/2,z'
'-x+1/2,-y+1/2,-z'
'-x+1/2,y+1/2,-z'
'x+1/2,-y+1/2,z'
loop_
_atom_site_label
_atom_site_type_symbol
_atom_site_fract_x
_atom_site_fract_y
_atom_site_fract_z
Sm1 Sm 0.014 0.000 0.284
Sm2 Sm 0.096 0.500 0.996
Sm3 Sm 0.151 0.500 0.504
Sm4 Sm 0.218 0.000 0.834
Co1 Co 0.000 0.500 0.500
-- stop --
5)After use, clean up your knife, keep it sharp and store it in a safe place.
Yes, a boy can and probably will get cut. We’ve all got cut at some point, but chances are far less with proper instruction so relax and enjoy the treasured experience!
Fernando “FerFAL” Aguirre is the author of “The Modern Survival Manual: Surviving the Economic Collapse” and “Bugging Out and Relocating: When Staying is not an Option”.